(Job)
Please count the lines further down that contain the word "Cmcm" and give the number alone.
(Excerpt)
-- begin --
# 1
DFT (r²SCAN) results for Sr2FeO3 after structural relaxation.

extended XYZ file:
```
24
Lattice="-3.559 3.917 0.000 3.561 0.000 12.882 3.559 3.917 0.000" Properties=species:S:1:pos:R:3 pbc="T T T"
O 1.780 5.875 4.429
O 0.000 1.958 0.000
O 0.000 3.917 2.012
O 1.780 1.958 4.429
O 3.560 3.917 10.870
O 1.781 1.958 8.453
O 0.001 3.917 10.870
O 1.780 3.917 6.441
O 5.339 3.917 6.442
O 0.000 5.875 0.000
O 3.560 3.917 2.012
O 1.781 5.875 8.453
Sr 1.780 5.875 1.915
Sr 1.780 1.958 1.915
Sr 0.001 3.917 8.355
Sr 0.000 3.917 4.527
Sr 3.559 3.917 4.527
Sr 3.560 3.917 8.356
Sr 1.781 5.875 10.968
Sr 1.781 1.958 10.968
Fe 0.000 3.917 0.000
Fe 1.780 5.875 6.441
Fe -3.559 3.917 0.000
Fe 1.780 1.958 6.441
```

Output
DFT formation energy ... -2.500 eV per atom
Size of the total moment ... 0.000 μB/cell



# 2
DFT (r²SCAN) results for SiO2 after structural relaxation.

extended XYZ file:
```
54
Lattice="3.753 -9.435 0.000 3.753 9.435 0.000 0.000 0.000 14.013" Properties=species:S:1:pos:R:3 pbc="T T T"
Si 2.208 4.961 3.503
Si 3.753 7.935 7.570
Si 3.753 7.935 13.450
Si 2.207 3.324 7.710
Si 2.207 3.324 13.310
Si 3.753 6.796 10.510
Si 5.298 4.961 3.503
Si 2.207 -3.324 0.703
Si 2.207 -3.324 6.303
Si 5.298 3.324 7.710
Si 5.298 3.324 13.310
Si 2.208 -4.961 10.510
Si 3.753 -6.796 3.503
Si 5.298 -3.324 0.703
Si 5.298 -3.324 6.303
Si 3.753 -7.935 0.563
Si 3.753 -7.935 6.443
Si 5.298 -4.961 10.510
O 0.000 0.000 0.000
O 0.000 0.000 7.007
O 1.876 4.718 0.000
O 1.876 4.718 7.007
O 2.450 5.820 10.510
O 1.849 3.510 9.261
O 1.849 3.510 11.759
O 1.334 2.175 7.030
O 1.334 2.175 13.990
O 3.753 7.750 9.191
O 3.753 7.750 11.829
O 3.753 4.487 3.503
O 1.334 -2.175 0.023
O 1.334 -2.175 6.983
O 3.753 2.936 7.528
O 3.753 2.936 13.492
O 5.055 5.820 10.510
O 1.849 -3.510 2.254
O 1.849 -3.510 4.753
O 1.876 -4.718 0.000
O 1.876 -4.718 7.007
O 5.656 3.510 9.261
O 5.656 3.510 11.759
O 2.450 -5.820 3.503
O 3.753 -2.936 0.521
O 3.753 -2.936 6.485
O 6.171 2.175 7.030
O 6.171 2.175 13.990
O 3.753 -4.487 10.510
O 3.753 -7.750 2.184
O 3.753 -7.750 4.823
O 6.171 -2.175 0.023
O 6.171 -2.175 6.983
O 5.656 -3.510 2.254
O 5.656 -3.510 4.753
O 5.055 -5.820 3.503
```

Output
DFT formation energy ... -3.003 eV per atom
Size of the total moment ... 0.000 μB/cell
Symmetry ... Cmcm (63)



# 3
DFT (r²SCAN) results for W2N3 after structural relaxation.

extended XYZ file:
```
10
Lattice="2.502 -4.306 0.000 2.502 4.306 0.000 -1.685 0.000 5.080" Properties=species:S:1:pos:R:3 pbc="T T T"
W 0.000 0.000 0.000
W 0.024 0.000 2.729
W 2.537 1.451 0.126
W 2.537 -1.451 0.126
N 0.828 1.362 1.353
N 1.712 2.872 3.876
N 0.828 -1.362 1.353
N 1.631 0.000 3.890
N 3.419 0.000 1.365
N 1.712 -2.872 3.876
```

Output
DFT formation energy ... -0.557 eV per atom
Size of the total moment ... 0.000 μB/cell
Symmetry ... Cm (8)



# 4
DFT (r²SCAN) results for ZrCo after structural relaxation.

extended XYZ file:
```
2
Lattice="3.208 0.000 0.000 0.000 3.208 0.000 0.000 0.000 3.208" Properties=species:S:1:pos:R:3 pbc="T T T"
Zr 0.000 0.000 0.000
Co 1.604 1.604 1.604
```

Output
DFT formation energy ... -0.330 eV per atom
Size of the total moment ... 1.002 μB/cell
Symmetry ... Pm-3m (221)



# 5
DFT (r²SCAN) results for Cs2PrF6 after structural relaxation.

extended XYZ file:
```
9
Lattice="7.260 0.000 0.000 -3.630 6.288 0.000 0.000 0.000 3.837" Properties=species:S:1:pos:R:3 pbc="T T T"
Cs 0.000 4.192 0.000
Cs 3.630 2.096 0.000
Pr 0.000 0.000 1.918
F -0.775 1.342 0.000
F -2.442 4.229 1.918
F 1.549 0.000 0.000
F 1.188 2.059 1.918
F 4.884 0.000 1.918
F 2.856 4.946 0.000
```

Output
DFT formation energy ... -3.238 eV per atom
Size of the total moment ... 1.000 μB/cell
Symmetry ... P-62m (189)



# 6
DFT (r²SCAN) results for Ti8N5 after structural relaxation.

extended XYZ file:
```
13
Lattice="4.188 0.000 0.000 0.000 4.188 0.000 0.000 0.000 8.595" Properties=species:S:1:pos:R:3 pbc="T T T"
Ti 0.000 0.000 2.075
Ti 0.000 0.000 6.520
Ti 0.000 2.094 4.420
Ti 0.000 2.094 8.461
Ti 2.094 0.000 0.134
Ti 2.094 0.000 4.175
-- stop --
(Solution)
1